While only having read the abstract at the moment, this seems to confirm my belief that one should generate a large amount of hypotheses when one wants a more rigorous answer to a question. I've started doing this in my PhD research, mostly by compiling others' hypotheses, but also by generating my own. I've been struck by how few researchers actually do this. However, the researchers who indeed do consider multiple hypotheses (e.g., in my field one major researcher who does is Rolf Reitz) earn greater respect from me.
Also, hypothesis generation is definitely non-trivial in real scientific domains. Both generating entirely new hypotheses and steelmanning existing hypotheses are non-trivial. It doesn't matter if your scientific method will converge to the right hypothesis if it's in your considered set if most sets don't contain the "correct" hypothesis...
Very interesting paper. I will be reading this closely. Thanks for posting this link.
This is a real elephant in the room. It's been mentioned a few times here, but it remains a major epidiment to Bayes is the Only Epistemology you need, and other cherished notions.
- The problem of ignored hypotheses with known relations
The biggest problem is with the “hypotheses and logical relations” setup.
The setup is deceptively easy to use in toy problems where you can actually list all of the possible hypotheses. The classic example is a single roll of a fair six-sided die. There is a finite list of distinct hypotheses one could have about the outcome, and they are all generated by conjunction/disjunction of the six “smallest” hypotheses, which assert that the die will land on one specific face. Using the set formalism, we can write these as
{1}, {2}, {3}, {4}, {5}, {6}
Any other hypothesis you can have is just a set with some of these numbers in it. “2 or 5″ is {2, 5}. “Less than 3” is just {1, 2}, and is equivalent to “1 or 2.” “Odd number” is {1, 3, 5}.
Since we know the specific faces are mutually exclusive and exhaustive, and we know their probabilities (all 1/6), it’s easy to compute the probability of any other hypothesis: just count the number of elements. {2, 5} has probability 2/6, and so forth. Conditional probabilities are easy too: conditioning on “odd number” means the possible faces are {1, 3, 5}, so now {2, 5} has conditional probability 1/3, because only one of the three possibilities is in there.
Because we were building sets out of individual members, here, we automatically obeyed the logical consistency rules, like not assigning “A or B” a smaller probability than “A.” We assigned probability 2/6 to “2 or 5″ and probability 1/6 to “2,” but we didn’t do that by thinking “hmm, gotta make sure we follow the consistency rules.” We could compute the probabilities exactly from first principles, and of course they followed the rules.
In most real-world cases of interest, though, we are not building up hypotheses from atomic outcomes in this exact way. Doing that is equivalent to stating exact necessary and sufficient conditions in terms of the finest-grained events we can possibly imagine; to do it for a hypothesis like “Trump will be re-elected in 2020,” we’d have to write down all the possible worlds where Trump wins, and the ones where he doesn’t, in terms of subatomic physics.
Instead, what we have in the real world is usually a vast multiple of conceivable hypotheses, very few of which we have actively considered (or will ever consider), and – here’s the kicker – many of these unconsidered hypotheses have logical relations to the hypotheses under consideration which we’d know if we considered them.
Thanks for pointing out that post by nostalgebraist. I had not seen it before and it definitely is of interest to me. I'm interested in hearing anything else along these lines, particularly information about solving this problem.
Wow. Does the result mean that any algorithm generating hypotheses via sampling will have the same biases?
No. They discuss some of the other possibilities. For example, you don't get the autocorrelation from other sampling methods like importance sampling or ABC sampling, which are drawing points independently of each other. They also mention particle sampling but I'm not sure how particle sampling vs classic MCMC would yield any observable psychological differences.
It doesn't necessarily mean exactly the same biases since you could deliberately implement the opposite bias in some of those cases. But it suggests that such algorithms will consistently have overall a similar set of biases.
Seems interesting, but almost everything of it flew over my head. Still, even only the table of the biases might be of use in self-critique; like, am I unpacking the hypothesis A into several unlikely smaller hypotheses (A1, A2...) and so underestimating the probability of A because I see it as a conjunction of events of small probability?.. am I, on the other hand, thinking of A as a disjunction, and so overestimating its probability?..
It is hard (at least, for me) to even judge whether I consider something a disjunction or a conjunction - I usually have my 'hypotheses' as chunks of thought, of variable length, just running their course from the spark of noticing (something observed or imagined) to the end (often a variation of 'who cares').
(And if shower-thoughts are so helpful in thinking up alternative explanations and 'just random stuff'... then I hate having had long hair for most of my life. It meant head colds in the cold season after every second bath! Hooray for short, easily driable hair!
OTOH, when we had to digest, in college, chunks that were noticeably too large - like, cramming for a test on Arthropoda, or for the final test on virology, or even a seminar on photosynthesis, - sometime half-way to the end I began having this feeling, 'stop, this is too elaborate, rewind, this isn't beautiful anymore, quit'. And whoa, it turned out that Arthropoda were even more "monstrous" than I could take in (= even more variable and specialized), viruses were "Just Doing It" with no regard for the "everyday" ranges of any nameable constraints, and the lovely, elegant photosynthesis seemed a total mess when coupled to the rest of the plant.
I mean, first, they give you something that obviously wouldn't work as a human plot, then they show you that yes, it works, and then they tell you 'oh btw, you graduated now, go do your thinking for yourself, there's a good chap, and don't forget to penalize complex hypotheses! Because conjunctions!' Life is unfaaaair.)
I mean, thanks for the link, it's pretty scary:)
Which is to say, I think there is a big problem in teaching people (biologists, at least) to think up hypotheses. In that, the reasoner knows the final product must be of some non-trivial complexity, in the colloquial sense of the word, but that he isn't really allowed to put forward anything too complicated, because it's too easy to imagine a just-so story. (So now I will imagine myself a just-so story, because duh.)
**What comes next are materials data, not part of the article**
(1)
The following is a meta-GGA SCAN calculation of a PBEsol-optimized structure of Li2PtW, from Alexandria.

```
data_Li2PtW
_space_group_name_H-M_alt 'C 1 2/m 1'
_space_group_IT_number 12
_space_group_name_Hall '-C 2y'
_cell_length_a 5.2813
_cell_length_b 9.4302
_cell_length_c 2.6511
_cell_angle_alpha 90.00
_cell_angle_beta 117.85
_cell_angle_gamma 90.00
loop_
_atom_site_label
_atom_site_type_symbol
_atom_site_fract_x
_atom_site_fract_y
_atom_site_fract_z
Li1 Li 0.2500 0.2500 0.0000
Pt1 Pt 0.0000 0.0000 0.5000
W1 W 0.0000 0.5000 0.5000
```

Output
**Final energy**: -289.85 eV for the cell shown
**Total magnetic moment**: 0.0000 μB/atom

=====

(2)
The following is a meta-GGA SCAN calculation of a PBEsol-optimized structure of AlPtW4, from Alexandria.

```
data_AlPtW4
_space_group_name_H-M_alt 'F -4 3 m'
_space_group_IT_number 216
_space_group_name_Hall 'F -4 2 3'
_cell_length_a 7.3482
_cell_length_b 7.3482
_cell_length_c 7.3482
_cell_angle_alpha 90.00
_cell_angle_beta 90.00
_cell_angle_gamma 90.00
loop_
_atom_site_label
_atom_site_type_symbol
_atom_site_fract_x
_atom_site_fract_y
_atom_site_fract_z
Al1 Al 0.0000 0.0000 0.0000
Pt1 Pt 0.2500 0.2500 0.2500
W1 W 0.1260 0.1260 0.6260
```

Output
**Final energy**: -1416.16 eV for the cell shown
**Total magnetic moment**: 0.0000 μB/atom

=====

(3)
The following is a meta-GGA SCAN calculation of a PBEsol-optimized structure of AgP2Cl, from Alexandria.

```
data_AgP2Cl
_space_group_name_H-M_alt 'I 4/m m m'
_space_group_IT_number 139
_space_group_name_Hall '-I 4 2'
_cell_length_a 3.4213
_cell_length_b 3.4213
_cell_length_c 13.8031
_cell_angle_alpha 90.00
_cell_angle_beta 90.00
_cell_angle_gamma 90.00
loop_
_atom_site_label
_atom_site_type_symbol
_atom_site_fract_x
_atom_site_fract_y
_atom_site_fract_z
Ag1 Ag 0.0000 0.0000 0.0000
P1 P 0.0000 0.5000 0.2500
Cl1 Cl 0.0000 0.0000 0.5000
```

Output
**Final energy**: -118.20 eV for the cell shown
**Raw formation energy**: 0.261 eV/atom
**Total magnetic moment**: 0.0000 μB/atom

=====

(4)
The following is a meta-GGA SCAN calculation of a PBEsol-optimized structure of In2FeP, from Alexandria.

```
data_In2FeP
_space_group_name_H-M_alt 'P m m m'
_space_group_IT_number 47
_space_group_name_Hall '-P 2 2'
_cell_length_a 3.4954
_cell_length_b 4.4492
_cell_length_c 4.5233
_cell_angle_alpha 90.00
_cell_angle_beta 90.00
_cell_angle_gamma 90.00
loop_
_atom_site_label
_atom_site_type_symbol
_atom_site_fract_x
_atom_site_fract_y
_atom_site_fract_z
In1 In 0.0000 0.0000 0.0000
In2 In 0.0000 0.5000 0.5000
Fe1 Fe 0.5000 0.0000 0.5000
P1 P 0.5000 0.5000 0.0000
```

Output
**Final energy**: -93.49 eV for the cell shown
**Total magnetic moment**: 0.6593 μB/atom

=====

(5)
The following is a meta-GGA SCAN calculation of a PBEsol-optimized structure of Mn3Al9Si, from Alexandria.

```
data_Mn3Al9Si
_space_group_name_H-M_alt 'P 63/m m c'
_space_group_IT_number 194
_space_group_name_Hall '-P 6c 2c'
_cell_length_a 7.4202
_cell_length_b 7.4202
_cell_length_c 7.5843
**The materials data stop here**
One way to tinker with research is to think of your tools, whether material or mathematical, as part of the picture instead of the brush and paints that nobody displays at the exhibition. For example, people who compare methods for staining plants' roots for fungi see that the results are different and wonder what that tells about the physiology of the root as a whole; the relationship of the dye and the cytoplasm may depend on pH, and there comes a point when one can swear the difference in pH must be the property of the cytoplasm and not of the procedure of staining. From this, one may assume that the acidity of the cells changes depending on the development of the mycelium inside the root (and the age of the root, and other things); but why, exactly?... And then, comparing modifications of the methods and knowing at least the chemical structure of the dye, one may build hypotheses about the underlying physiological processes.
It's hard to view, for example, scanning electron microscopy (or something comparably multi-stage) as an "alien artefact in the world" rather than "a great big thing that by the good will of its operator lets me see the surface of very small things", but I think that such approach might be fruitful for generating hypotheses, at least in some not-too-applied cases. There must be fascinating examples of mathematical tools so toyed with. I mean, almost (?) all that I have read about math that was interesting for a layman, was written from this angle. But in school and college, they go with the "great big things" approach. (hash tag ramblingasalways)
While only having read the abstract at the moment, this seems to confirm my belief that one should generate a large amount of hypotheses when one wants a more rigorous answer to a question. I've started doing this in my PhD research, mostly by compiling others' hypotheses, but also by generating my own. I've been struck by how few researchers actually do this. However, the researchers who indeed do consider multiple hypotheses (e.g., in my field one major researcher who does is Rolf Reitz) earn greater respect from me.
Also, hypothesis generation is definitely non-trivial in real scientific domains. Both generating entirely new hypotheses and steelmanning existing hypotheses are non-trivial. It doesn't matter if your scientific method will converge to the right hypothesis if it's in your considered set if most sets don't contain the "correct" hypothesis...
Very interesting paper. I will be reading this closely. Thanks for posting this link.
This is a real elephant in the room. It's been mentioned a few times here, but it remains a major epidiment to Bayes is the Only Epistemology you need, and other cherished notions.
... (read more)